-- To do --
Could you say how many lines of the contents further down hold the word "peak", as a bare number?

-- Source --
____________
For TbSc2Ni2, the GGA-PBE geometry in Alexandria gives the computed powder diffractogram in this record (Cu Kα (weighted mean of Kα1 and Kα2)).
No peak broadening, texture or thermal motion is included.

Largest 12 diffraction maxima, by intensity, 5° ≤ 2θ ≤ 70°:
2θ = 34.2°, d = 2.623 Å, I 1000
2θ = 33.3°, d = 2.693 Å, I 418
2θ = 17.2°, d = 5.163 Å, I 233
2θ = 44.5°, d = 2.037 Å, I 180
2θ = 40.9°, d = 2.206 Å, I 128
2θ = 50.9°, d = 1.794 Å, I 125
2θ = 42.2°, d = 2.143 Å, I 109
2θ = 62.8°, d = 1.480 Å, I 102
2θ = 48.3°, d = 1.884 Å, I 102
2θ = 24.9°, d = 3.578 Å, I 100
2θ = 50.0°, d = 1.825 Å, I 99
2θ = 29.6°, d = 3.022 Å, I 98

Crystal structure
```
data_TbSc2Ni2
_chemical_formula_sum 'Tb4 Sc8 Ni8'
_space_group_name_H-M_alt 'C m c 21'
_space_group_IT_number 36
_cell_length_a 3.5870
_cell_length_b 12.9132
_cell_length_c 8.5969
_cell_angle_alpha 90.00
_cell_angle_beta 90.00
_cell_angle_gamma 90.00
loop_
_space_group_symop_operation_xyz
'x,y,z'
'-x,-y,z+1/2'
'-x,y,z'
'x,-y,z+1/2'
'x+1/2,y+1/2,z'
'-x+1/2,-y+1/2,z+1/2'
'-x+1/2,y+1/2,z'
'x+1/2,-y+1/2,z+1/2'
loop_
_atom_site_label
_atom_site_fract_x
_atom_site_fract_y
_atom_site_fract_z
Tb1 0.0000 0.0892 0.0000
Sc1 0.0000 0.1855 0.6331
Sc2 0.0000 0.3860 0.8478
Ni1 0.0000 0.2633 0.3411
Ni2 0.0000 0.4518 0.1802
```

=====

For Ca3Mg2Cu, the GGA-PBE geometry in Alexandria gives the computed powder diffractogram in this record (Cu Kα (weighted mean of Kα1 and Kα2)).
No peak broadening, texture or thermal motion is included.

Largest 12 diffraction maxima, by intensity, 5° ≤ 2θ ≤ 70°:
2θ = 32.7°, d = 2.738 Å, I 1000
2θ = 28.9°, d = 3.087 Å, I 491
2θ = 31.7°, d = 2.823 Å, I 398
2θ = 27.4°, d = 3.256 Å, I 342
2θ = 37.3°, d = 2.411 Å, I 313
2θ = 18.3°, d = 4.840 Å, I 304
2θ = 37.1°, d = 2.426 Å, I 291
2θ = 34.5°, d = 2.598 Å, I 266
2θ = 51.9°, d = 1.762 Å, I 244
2θ = 56.5°, d = 1.628 Å, I 235
2θ = 37.7°, d = 2.386 Å, I 182
2θ = 20.8°, d = 4.275 Å, I 164

Crystal structure
```
data_Ca3Mg2Cu
_chemical_formula_sum 'Ca12 Mg8 Cu4'
_space_group_name_H-M_alt 'C m c m'
_space_group_IT_number 63
_space_group_name_Hall '-C 2c 2'
_cell_length_a 9.3943
_cell_length_b 11.3349
_cell_length_c 6.5120
_cell_angle_alpha 90.00
_cell_angle_beta 90.00
_cell_angle_gamma 90.00
loop_
_atom_site_label
_atom_site_fract_x
_atom_site_fract_y
_atom_site_fract_z
Ca1 0.0000 0.0823 0.2500
Ca2 0.1827 0.2286 0.7500
Mg1 0.1589 0.5000 0.0000
Cu1 0.0000 0.3480 0.2500
```

=====

For InCl5, the GGA-PBE geometry in Alexandria gives the computed powder diffractogram in this record (Cu Kα (weighted mean of Kα1 and Kα2)).
No peak broadening, texture or thermal motion is included.

Largest 12 diffraction maxima, by intensity, 5° ≤ 2θ ≤ 70°:
2θ = 8.1°, d = 10.947 Å, I 1000
2θ = 19.1°, d = 4.654 Å, I 609
2θ = 16.2°, d = 5.473 Å, I 321
2θ = 26.9°, d = 3.314 Å, I 183
2θ = 34.9°, d = 2.571 Å, I 167
2θ = 35.9°, d = 2.503 Å, I 142
2θ = 37.2°, d = 2.417 Å, I 134
2θ = 51.9°, d = 1.760 Å, I 126
2θ = 44.6°, d = 2.030 Å, I 120
2θ = 36.3°, d = 2.478 Å, I 110
2θ = 24.1°, d = 3.700 Å, I 107
2θ = 31.2°, d = 2.865 Å, I 98

Crystal structure
```
data_InCl5
_chemical_formula_sum 'In1 Cl5'
_space_group_name_H-M_alt 'P 1 m 1'
_space_group_IT_number 6
_cell_length_a 3.7456
_cell_length_b 5.1423
_cell_length_c 11.0819
_cell_angle_alpha 90.00
_cell_angle_beta 98.95
_cell_angle_gamma 90.00
loop_
_space_group_symop_operation_xyz
'x,y,z'
'x,-y,z'
loop_
_atom_site_label
_atom_site_fract_x
_atom_site_fract_y
_atom_site_fract_z
In1 0.0000 0.0000 0.0000
Cl1 0.1274 0.5000 0.5863
Cl2 0.4266 0.0000 0.8408
Cl3 0.5723 0.0000 0.1591
Cl4 0.9147 0.5000 0.4099
Cl5 0.9961 0.5000 0.0001
```

=====

For La5Ga4, the GGA-PBE geometry in Alexandria gives the computed powder diffractogram in this record (Cu Kα (weighted mean of Kα1 and Kα2)).
No peak broadening, texture or thermal motion is included.

Largest 12 diffraction maxima, by intensity, 5° ≤ 2θ ≤ 70°:
2θ = 30.3°, d = 2.947 Å, I 1000
2θ = 34.5°, d = 2.599 Å, I 270
2θ = 38.0°, d = 2.371 Å, I 264
____________

-- Worked solution --
4